Material >
+++
## a
YZr2Si: optimized geometry, PBE.

Results
DOS(E_F) ... 3.96 states/eV/f.u.
Calculated density ... 5.53 g cm⁻³
Magnetization ... 0.00 μB/cell

Unit cell a=11.139 b=3.222 c=5.259 alpha=90.00 beta=107.56 gamma=90.00
Space group C2/m (No. 12)
Symmetry-distinct sites (fractional):
Y (0.000, 0.000, 0.000) x2
Zr (0.216, 0.000, 0.713) x4
Si (0.000, 0.500, 0.500) x2



## b
YZr2Si: optimized geometry, PBE.

Results
DOS(E_F) ... 3.82 states/eV/f.u.
Calculated density ... 5.46 g cm⁻³
Magnetization ... 0.00 μB/cell

Unit cell a=3.336 b=4.903 c=5.701 alpha=90.00 beta=102.46 gamma=90.00
Space group P2/m (No. 10)
Symmetry-distinct sites (fractional):
Y (0.000, 0.000, 0.000) x1
Zr (0.348, 0.500, 0.725) x2
Si (0.500, 0.000, 0.500) x1



## c
YZr2Si: optimized geometry, PBE.

Results
DOS(E_F) ... 4.43 states/eV/f.u.
Calculated density ... 5.47 g cm⁻³
Magnetization ... 0.00 μB/cell

Unit cell a=4.575 b=4.601 c=8.644 alpha=90.00 beta=90.00 gamma=90.00
Space group Cmm2 (No. 35)
Symmetry-distinct sites (fractional):
Y (0.000, 0.000, 0.000) x2
Zr (0.000, 0.000, 0.571) x2
Zr (0.000, 0.500, 0.315) x2
Si (0.000, 0.500, 0.775) x2



## d
YZr2Si: optimized geometry, PBE.

Results
DOS(E_F) ... 6.64 states/eV/f.u.
Calculated density ... 5.53 g cm⁻³
Magnetization ... 0.00 μB/cell

Unit cell a=3.142 b=3.142 c=9.111 alpha=90.00 beta=90.00 gamma=90.00
Space group P4/mmm (No. 123)
Symmetry-distinct sites (fractional):
Y (0.000, 0.000, 0.000) x1
Zr (0.500, 0.500, 0.303) x2
Si (0.000, 0.000, 0.500) x1



Which structure loses on stability? b does.
+++

To do >
Now restate every line further up that contains the word "x2".

Result >
Y (0.000, 0.000, 0.000) x2
Si (0.000, 0.500, 0.500) x2
Zr (0.348, 0.500, 0.725) x2
Y (0.000, 0.000, 0.000) x2
Zr (0.000, 0.000, 0.571) x2
Zr (0.000, 0.500, 0.315) x2
Si (0.000, 0.500, 0.775) x2
Zr (0.500, 0.500, 0.303) x2